<<<
# 1
# TaZnOs2

A relaxed structure of TaZnOs2 (PBEsol, the Alexandria database).

Calculated values
- DOS at the Fermi energy (states/eV/cell) = 4.37
- total magnetization (Bohr magnetons per cell) = 0.00
- formation enthalpy at 0 K (eV per formula unit) = 0.16
- theoretical density (g cm⁻³) = 17.67

a = 8.7800 Å, b = 2.8010 Å, c = 4.8633 Å
α = 90.00°, β = 99.96°, γ = 90.00°
With the nearest neighbours (Å) after each atom.
Space group C2/m (No. 12)
Asymmetric unit:
Ta: 0.0000 0.0000 0.0000 x2  6 Os 2.73-2.74, 2 Ta 2.80, 4 Zn 2.81
Zn: 0.0000 0.5000 0.5000 x2  6 Os 2.64-2.68, 2 Zn 2.80, 4 Ta 2.81
Os: 0.2494 0.0000 0.7327 x4  3 Zn 2.64-2.68, 6 Os 2.66-2.95, 3 Ta 2.73-2.74


# 2
# TaZn2Os

A relaxed structure of TaZn2Os (PBEsol, the Alexandria database).

Calculated values
- distance to the lowest polymorph of the same formula (meV/atom) = 194
- DOS at the Fermi energy (states/eV/cell) = 2.48
- total magnetization (Bohr magnetons per cell) = 0.00
- formation enthalpy at 0 K (eV per formula unit) = 0.91
- theoretical density (g cm⁻³) = 14.43

a = 3.2333 Å, b = 3.2333 Å, c = 5.5267 Å
α = 90.00°, β = 90.00°, γ = 90.00°
With the nearest neighbours (Å) after each atom.
Space group P4/mmm (No. 123)
Asymmetric unit:
Ta: 0.0000 0.0000 0.0000 x1  8 Zn 2.72, 2 Os 2.76
Zn: 0.5000 0.5000 0.2682 x2  1 Zn 2.56, 4 Os 2.62, 4 Ta 2.72
Os: 0.0000 0.0000 0.5000 x1  8 Zn 2.62, 2 Ta 2.76


# 3
# TaZnOs2

A relaxed structure of TaZnOs2 (PBEsol, the Alexandria database).

Calculated values
- DOS at the Fermi energy (states/eV/cell) = 3.57
- total magnetization (Bohr magnetons per cell) = 0.00
- formation enthalpy at 0 K (eV per formula unit) = -0.24
- theoretical density (g cm⁻³) = 17.81

a = 4.2597 Å, b = 4.2597 Å, c = 3.2199 Å
α = 90.00°, β = 90.00°, γ = 90.00°
With the nearest neighbours (Å) after each atom.
Space group P4/mmm (No. 123)
Asymmetric unit:
Ta: 0.0000 0.0000 0.0000 x1  8 Os 2.67
Zn: 0.5000 0.5000 0.0000 x1  8 Os 2.67
Os: 0.0000 0.5000 0.5000 x2  4 Ta 2.67, 4 Zn 2.67


# 4
# TaZn2Os

A relaxed structure of TaZn2Os (PBEsol, the Alexandria database).

Calculated values
- distance to the lowest polymorph of the same formula (meV/atom) = 0
- DOS at the Fermi energy (states/eV/cell) = 5.09
- total magnetization (Bohr magnetons per cell) = 0.00
- formation enthalpy at 0 K (eV per formula unit) = 0.13
- theoretical density (g cm⁻³) = 14.05

a = 9.2084 Å, b = 3.0789 Å, c = 4.3562 Å
α = 90.00°, β = 106.09°, γ = 90.00°
With the nearest neighbours (Å) after each atom.
Space group C2/m (No. 12)
Asymmetric unit:
Ta: 0.0000 0.0000 0.0000 x2  4 Os 2.67, 6 Zn 2.79
Zn: 0.2434 0.0000 0.7351 x4  4 Zn 2.59-2.75, 3 Os 2.68-2.82, 3 Ta 2.79
Os: 0.0000 0.5000 0.5000 x2  4 Ta 2.67, 6 Zn 2.68-2.82


# 5
# ZrTaOs2

A relaxed structure of ZrTaOs2 (PBEsol, the Alexandria database).

Calculated values
- DOS at the Fermi energy (states/eV/cell) = 4.52
- total magnetization (Bohr magnetons per cell) = 0.00
- formation enthalpy at 0 K (eV per formula unit) = -0.75
- theoretical density (g cm⁻³) = 16.48

a = 3.2028 Å, b = 4.4273 Å, c = 9.2733 Å
α = 90.00°, β = 90.00°, γ = 90.00°
With the nearest neighbours (Å) after each atom.
Space group Imm2 (No. 44)
Asymmetric unit:
Zr: 0.0000 0.0000 0.0000 x2  6 Os 2.73-2.78, 2 Ta 2.86
Ta: 0.0000 0.5000 0.2442 x2  6 Os 2.70-2.73, 2 Zr 2.86
Os: 0.0000 0.0000 0.5096 x2  2 Ta 2.70, 4 Zr 2.73, 2 Os 2.93
Os: 0.0000 0.5000 0.7453 x2  4 Ta 2.73, 2 Zr 2.78, 2 Os 2.93


# 6
# ZrTaOs2

A relaxed structure of ZrTaOs2 (PBEsol, the Alexandria database).

Calculated values
- DOS at the Fermi energy (states/eV/cell) = 9.94
- total magnetization (Bohr magnetons per cell) = 0.00
- formation enthalpy at 0 K (eV per formula unit) = 1.07
- theoretical density (g cm⁻³) = 16.48

a = 3.0980 Å, b = 4.6869 Å, c = 9.0593 Å
α = 90.00°, β = 90.00°, γ = 90.00°
With the nearest neighbours (Å) after each atom.
Space group Cmm2 (No. 35)
Asymmetric unit:
Zr: 0.0000 0.0000 0.0000 x2  2 Os 2.72, 4 Zr 2.81, 2 Ta 2.93
>>>
What is needed: retype the whole of the listing above word for word.
# 1
# TaZnOs2

A relaxed structure of TaZnOs2 (PBEsol, the Alexandria database).

Calculated values
- DOS at the Fermi energy (states/eV/cell) = 4.37
- total magnetization (Bohr magnetons per cell) = 0.00
- formation enthalpy at 0 K (eV per formula unit) = 0.16
- theoretical density (g cm⁻³) = 17.67

a = 8.7800 Å, b = 2.8010 Å, c = 4.8633 Å
α = 90.00°, β = 99.96°, γ = 90.00°
With the nearest neighbours (Å) after each atom.
Space group C2/m (No. 12)
Asymmetric unit:
Ta: 0.0000 0.0000 0.0000 x2  6 Os 2.73-2.74, 2 Ta 2.80, 4 Zn 2.81
Zn: 0.0000 0.5000 0.5000 x2  6 Os 2.64-2.68, 2 Zn 2.80, 4 Ta 2.81
Os: 0.2494 0.0000 0.7327 x4  3 Zn 2.64-2.68, 6 Os 2.66-2.95, 3 Ta 2.73-2.74


# 2
# TaZn2Os

A relaxed structure of TaZn2Os (PBEsol, the Alexandria database).

Calculated values
- distance to the lowest polymorph of the same formula (meV/atom) = 194
- DOS at the Fermi energy (states/eV/cell) = 2.48
- total magnetization (Bohr magnetons per cell) = 0.00
- formation enthalpy at 0 K (eV per formula unit) = 0.91
- theoretical density (g cm⁻³) = 14.43

a = 3.2333 Å, b = 3.2333 Å, c = 5.5267 Å
α = 90.00°, β = 90.00°, γ = 90.00°
With the nearest neighbours (Å) after each atom.
Space group P4/mmm (No. 123)
Asymmetric unit:
Ta: 0.0000 0.0000 0.0000 x1  8 Zn 2.72, 2 Os 2.76
Zn: 0.5000 0.5000 0.2682 x2  1 Zn 2.56, 4 Os 2.62, 4 Ta 2.72
Os: 0.0000 0.0000 0.5000 x1  8 Zn 2.62, 2 Ta 2.76


# 3
# TaZnOs2

A relaxed structure of TaZnOs2 (PBEsol, the Alexandria database).

Calculated values
- DOS at the Fermi energy (states/eV/cell) = 3.57
- total magnetization (Bohr magnetons per cell) = 0.00
- formation enthalpy at 0 K (eV per formula unit) = -0.24
- theoretical density (g cm⁻³) = 17.81

a = 4.2597 Å, b = 4.2597 Å, c = 3.2199 Å
α = 90.00°, β = 90.00°, γ = 90.00°
With the nearest neighbours (Å) after each atom.
Space group P4/mmm (No. 123)
Asymmetric unit:
Ta: 0.0000 0.0000 0.0000 x1  8 Os 2.67
Zn: 0.5000 0.5000 0.0000 x1  8 Os 2.67
Os: 0.0000 0.5000 0.5000 x2  4 Ta 2.67, 4 Zn 2.67


# 4
# TaZn2Os

A relaxed structure of TaZn2Os (PBEsol, the Alexandria database).

Calculated values
- distance to the lowest polymorph of the same formula (meV/atom) = 0
- DOS at the Fermi energy (states/eV/cell) = 5.09
- total magnetization (Bohr magnetons per cell) = 0.00
- formation enthalpy at 0 K (eV per formula unit) = 0.13
- theoretical density (g cm⁻³) = 14.05

a = 9.2084 Å, b = 3.0789 Å, c = 4.3562 Å
α = 90.00°, β = 106.09°, γ = 90.00°
With the nearest neighbours (Å) after each atom.
Space group C2/m (No. 12)
Asymmetric unit:
Ta: 0.0000 0.0000 0.0000 x2  4 Os 2.67, 6 Zn 2.79
Zn: 0.2434 0.0000 0.7351 x4  4 Zn 2.59-2.75, 3 Os 2.68-2.82, 3 Ta 2.79
Os: 0.0000 0.5000 0.5000 x2  4 Ta 2.67, 6 Zn 2.68-2.82


# 5
# ZrTaOs2

A relaxed structure of ZrTaOs2 (PBEsol, the Alexandria database).

Calculated values
- DOS at the Fermi energy (states/eV/cell) = 4.52
- total magnetization (Bohr magnetons per cell) = 0.00
- formation enthalpy at 0 K (eV per formula unit) = -0.75
- theoretical density (g cm⁻³) = 16.48

a = 3.2028 Å, b = 4.4273 Å, c = 9.2733 Å
α = 90.00°, β = 90.00°, γ = 90.00°
With the nearest neighbours (Å) after each atom.
Space group Imm2 (No. 44)
Asymmetric unit:
Zr: 0.0000 0.0000 0.0000 x2  6 Os 2.73-2.78, 2 Ta 2.86
Ta: 0.0000 0.5000 0.2442 x2  6 Os 2.70-2.73, 2 Zr 2.86
Os: 0.0000 0.0000 0.5096 x2  2 Ta 2.70, 4 Zr 2.73, 2 Os 2.93
Os: 0.0000 0.5000 0.7453 x2  4 Ta 2.73, 2 Zr 2.78, 2 Os 2.93


# 6
# ZrTaOs2

A relaxed structure of ZrTaOs2 (PBEsol, the Alexandria database).

Calculated values
- DOS at the Fermi energy (states/eV/cell) = 9.94
- total magnetization (Bohr magnetons per cell) = 0.00
- formation enthalpy at 0 K (eV per formula unit) = 1.07
- theoretical density (g cm⁻³) = 16.48

a = 3.0980 Å, b = 4.6869 Å, c = 9.0593 Å
α = 90.00°, β = 90.00°, γ = 90.00°
With the nearest neighbours (Å) after each atom.
Space group Cmm2 (No. 35)
Asymmetric unit:
Zr: 0.0000 0.0000 0.0000 x2  2 Os 2.72, 4 Zr 2.81, 2 Ta 2.93